Wait so you think diamond tanks can’t tell when they are matched up against another tank with +/- 1000 SR?
Support Junkrat confirmed?
That would be my defense if I only did 1.9k damage
Yup; there is no fair games anymore, the MM is the most broken since ow1 lauched.
I have a feeling that you’ll use that same information to backup your future arguments as well lol
Considering the complaints aren’t backed up, you don’t need anything from me.
No one needs anything from you, you have nothing of value lol
Dude, you can clearly hold a normal discussion as shown earlier in this thread. Why stoop to name-calling?
I’m not name calling, I’m just tired of hearing observations constantly being called “complaints” on here. I see is as a form of trying to discredit people.
I love how you pull up my info, like it’s something that’s gonna shut me up Haha! Like i’m supposed to be embarrassed or something lol.
Nice try.
But it does give insight. Especially when schooling me on what I was doing as support… I’m well aware of what I need to do as a support. Nor is it even relevant to the subject.
So you try to discredit people in response?
Also what “observations”? This thread is mostly just filled with whining and moaning about bad games while making wild assumptions on the matchmaker. (as often happens when rating systems meet player egos)
Yes the matchmaker seems to be of lower quality, NO they are not purposely matching you with better or worse players to force a result. That is stupid, so why do people keep suggesting that blizzactivision is purposely sabotaging their own game?
You also forget that the weekly challenges were changed.
You have to play all 3 roles now instead kf just playing 2 (dps and tank for most), you have to get 250 assists (mostly done by supports) and the team kill challenge (more controlable by dps heroes) was removed and replaced by something that is more achieveable by supports.
While it’s true that less players might play overall, there is still the possibility that the percentage of support players was raised one way or another.
The lack of transparency has been an issue for 7 years. At one point, we knew they were allowing a roughly 1000 SR gap in ranked for people to group with. Could assume match making was that wide as well at the time.
It’s changed since OW1, though, so me, and I’m sure many others, are curious as to how far that gap has widened since the release of OW2.
This is what neglecting a game look like. Balancing each season or mid season(joke so far). Having Orisa, pocketed Hitscan/ Sojourn or anything with Mercy is getting old. Bad balance is leading to terrible matchmaking with people not wanting to play this game.
Umm the one you just… nvm
This must be the universe telling me to get off the forums lol
Yeah, perhaps you should, since clearly you have nothing useful to say.
You just said the exact same t…
Sorry. I am not a conspiracy theorist or member of the echo chamber. I have my own free will have some some experience with how these systems work, added with hours of game play.
When someone criticises the match maker, for something the match maker doesn’t even do… They should be told. Their misunderstanding is what causes them to tilt unnecessarily.
## The entry is interrupted by calculated molecules
~~~
DFT (ωB97M-V/def2-TZVPD) results for a 2-piece molecular cluster, H2N4O overall at a distorted geometry.

For the HOMO energy, the calculation gives -0.3068 Eh. The gap between HOMO and LUMO comes out at 9.3 eV. The value obtained for the energy relative to the best compared isomer or geometry (same formula, charge and spin) is 73.8 kcal/mol. The calculation puts the LUMO energy at 0.910 eV.

Cartesian coordinates (Å):
N  1.3304  0.6913  -0.6547
N  1.5684  0.5902  0.4110
N  -1.2228  -0.3868  -0.2407
N  -0.7051  -1.1962  0.4927
O  1.8470  0.4603  1.5125
H  -0.5629  0.0689  -0.8637
H  -2.2551  -0.2277  -0.6571

Atomic forces in eV per Å
-0.46 0.56 -3.00
0.14 -0.28 0.01
-0.33 -0.07 -2.26
-1.40 -0.30 0.90
0.73 -0.19 3.04
-0.06 1.15 -0.48
1.38 -0.87 1.79

* * * * *

The following is a quantum chemistry calculation of a structure of composition C50H50BNO3P3Sr at a distorted geometry, from the Open Molecules 2025 dataset.

As for the charge: +1. For the total energy, the calculation gives -3295.1470 Eh. The energy above the lowest of the compared OMol25 structures with the same formula, charge and spin is 381.0 kJ/mol.

```
109
Properties=species:S:1:pos:R:3:forces:R:3
Sr -0.281 -1.321 -0.164 -8.4148 0.7198 0.3162
O -2.458 -1.818 2.807 -0.0332 -0.1422 0.0025
N -2.159 -0.490 2.654 -0.0960 0.0540 -0.1203
C -1.692 0.074 3.687 -0.0168 0.4000 0.0513
C -1.327 1.514 3.646 0.0559 -0.2871 -0.1406
C -1.227 2.171 4.869 0.0067 0.0062 0.0710
C -0.911 3.517 4.935 0.0155 -0.0126 0.0316
C -0.689 4.228 3.766 0.0348 0.0103 -0.0251
C -0.795 3.590 2.538 0.0261 0.0174 0.0464
C -1.098 2.235 2.454 -0.0750 -0.3870 0.1502
P -1.374 1.411 0.837 0.2531 0.9048 -0.8795
C -0.367 2.367 -0.406 -0.0901 -0.1624 0.1851
C -0.793 2.242 -1.735 0.2596 -0.2276 0.0967
C -0.051 2.782 -2.776 0.0223 -0.1681 -0.0380
C 1.150 3.426 -2.512 0.0581 0.0610 0.0620
C 1.601 3.530 -1.203 0.0209 -0.0505 -0.0545
C 0.851 2.999 -0.161 -0.1304 0.0798 0.0413
C -3.036 2.131 0.465 -0.0563 -0.1320 0.2514
C -4.164 1.505 0.993 0.1135 0.0324 -0.1103
C -5.410 2.105 0.887 -0.0357 -0.0219 0.0390
C -5.556 3.300 0.204 0.0284 0.0630 -0.0209
C -4.440 3.922 -0.340 -0.0394 -0.0078 0.0642
C -3.184 3.358 -0.183 -0.0195 0.0258 0.0628
H -2.840 -2.059 1.933 0.0442 -0.0171 0.0332
H -1.588 -0.466 4.626 -0.0292 -0.0034 0.0238
H -1.423 1.618 5.782 0.0300 0.0035 -0.0171
H -0.850 4.013 5.895 0.0103 -0.0085 -0.0061
H -0.437 5.279 3.806 -0.0434 0.0018 -0.0045
H -0.649 4.162 1.632 -0.0319 0.0060 0.0046
H -1.694 1.675 -1.946 -0.1457 0.1607 -0.0763
H -0.397 2.677 -3.798 -0.0269 0.0247 0.0298
H 1.739 3.838 -3.322 -0.0227 0.0100 0.0075
H 2.550 4.008 -0.996 -0.0174 0.0117 0.0142
H 1.227 3.066 0.853 0.0038 0.0395 -0.0170
H -4.054 0.548 1.480 -0.0514 -0.0384 0.0668
H -6.274 1.636 1.339 0.0122 -0.0649 -0.0598
H -6.535 3.750 0.097 0.0160 0.0059 0.0200
H -4.544 4.862 -0.867 0.0151 -0.0004 0.0099
H -2.324 3.892 -0.563 -0.0121 -0.0248 -0.0327
C 3.902 -0.566 0.481 -0.5571 0.5037 -0.9727
P 2.122 -0.116 0.220 1.0104 -1.2957 0.9140
~~~
When you say this I’m assuming you are implying you coded or dabbled in something like this for a video game before outside of just playing overwatch like the rest of us? I like hearing the ins and out of game coding and design.